Sources of competitive advantage
Porter's list

Sources of competitive advantage

Michael Porter has claimed there's 3 fundamental ways of arriving at competitive advantage: differentiation, cost-leadership or focus. Then there are recurring ways how these advantages can be brought to life.??

One example of a source for competitive advantage is beating the learning curve. That is starting to do something earlier than competition. Then you learn the valuable and advantageous activity before competition. You have comparative advantage. The one who started the earliest is ahead of the others on the learning curve. Of course provided everyone keeps learning the same pace.??

This list below is a long list of Michael Porter's advantages. Thanks to chatGPT for compiling this for us.?

TIP: You can use this list to get going with identifying your own future advantages.

# Misplaced records of molecules
____________
<A>
{
  "formula": "C10H10N2O2",
  "method": "wB97M-V/def2-TZVPD",
  "symbols": ["C", "O", "C", "C", "C", "N", "C", "C", "C", "C", "C", "N", "C", "O", "H", "H", "H", "H", "H", "H", "H", "H", "H", "H"],
  "positions_angstrom": [[-2.279, -0.938, 1.140], [-1.913, -0.671, -0.174], [-0.623, -0.313, -0.558], [-0.525, -0.391, -1.961], [0.633, -0.045, -2.643], [0.538, -0.274, -4.024], [1.752, 0.354, -1.850], [1.651, 0.328, -0.500], [0.488, 0.010, 0.199], [0.489, 0.317, 1.533], [0.860, -0.313, 2.660], [0.636, 0.536, 3.724], [0.034, 1.520, 3.249], [0.031, 1.538, 1.867], [-1.896, -0.177, 1.830], [-3.306, -1.158, 1.026], [-1.846, -2.003, 1.468], [-1.312, -0.977, -2.383], [1.118, 0.420, -4.476], [-0.444, -0.138, -4.332], [2.626, 0.756, -2.386], [2.522, 0.542, 0.081], [1.243, -1.313, 2.861], [-0.479, 2.391, 3.649]],
  "nbo_charge": [-0.242, -0.522, 0.451, -0.341, 0.200, -0.784, -0.295, -0.111, -0.273, 0.235, -0.120, -0.447, 0.306, -0.421, 0.186, 0.203, 0.158, 0.220, 0.367, 0.379, 0.215, 0.217, 0.223, 0.197],
  "lumo_energy_ev": 0.89,
  "smiles": "COc1cc(N)ccc1-c1cnco1",
  "gap_ha": 0.3432
}

<B>
{
  "formula": "C10H10N2O2",
  "method": "wB97M-V/def2-TZVPD",
  "symbols": ["O", "C", "O", "C", "C", "N", "C", "C", "C", "N", "C", "C", "C", "C", "H", "H", "H", "H", "H", "H", "H", "H", "H", "H"],
  "positions_angstrom": [[2.914, 0.075, -1.516], [1.894, -0.629, -1.014], [2.379, -1.567, -0.007], [1.729, -0.929, 1.095], [0.988, 0.060, 0.223], [1.391, 1.388, 0.324], [0.638, 2.315, 0.441], [-0.892, 2.131, 0.676], [-1.300, 0.791, 0.085], [-2.532, 0.718, -0.338], [-3.068, -0.400, -0.675], [-2.358, -1.651, -0.453], [-1.002, -1.547, -0.198], [-0.468, -0.298, 0.046], [3.480, -0.036, -0.783], [1.347, -1.117, -1.896], [2.471, -0.509, 1.924], [1.181, -1.767, 1.514], [0.987, 3.310, 0.321], [-1.404, 2.923, 0.214], [-1.148, 2.255, 1.686], [-4.032, -0.429, -1.069], [-2.768, -2.602, -0.534], [-0.426, -2.485, -0.065]],
  "nbo_charge": [-0.669, 0.408, -0.563, -0.063, -0.016, -0.409, 0.193, -0.513, 0.225, -0.424, 0.062, -0.247, -0.176, -0.087, 0.482, 0.159, 0.186, 0.187, 0.172, 0.233, 0.233, 0.186, 0.214, 0.226],
  "lumo_energy_ev": 0.84,
  "smiles": "O[C@H]1OC[C@@]12N=CCc1ncccc12",
  "gap_ha": 0.3618
}

<C>
{
  "formula": "C10H10N2O2",
  "method": "wB97M-V/def2-TZVPD",
  "symbols": ["O", "N", "O", "C", "C", "C", "C", "C", "N", "C", "C", "C", "C", "C", "H", "H", "H", "H", "H", "H", "H", "H", "H", "H"],
____________
# Back to the piece

The list?of advantages

  1. Cost Leadership: a. Economies of Scale b. Economies of Scope c. Learning Curve Effects d. Technological Advancements e. Access to Low-Cost Inputs f. Efficient Supply Chain Management?
  2. Differentiation: a. Unique Brand Image and Identity b. Product Innovation and Design c. High-Quality Standards d. Customization and Personalization e. Superior Customer Service f. Exclusive Access to Natural Resources or Inputs?
  3. Focus: a. Niche Market Focus b. Specialized Products or Services c. Geographic Concentration d. Segment-Specific Marketing and Sales?
  4. Technology and Innovation: a. Research and Development Capabilities b. Intellectual Property and Patents c. Technological Expertise and Know-How d. Innovation Processes and Culture e. Rapid Prototyping and Time-to-Market Advantage?
  5. Strategic Alliances and Partnerships: a. Collaborations with Industry Leaders b. Joint Ventures and Strategic Alliances c. Exclusive Partnerships and Licensing Agreements?
  6. Human Capital: a. Skilled Workforce b. Talent Attraction and Retention c. Employee Training and Development d. Knowledge Management and Intellectual Capital?
  7. Supply Chain Management: a. Supplier Relationships and Negotiation Power b. Vertical Integration c. Just-in-Time Inventory Systems d. Efficient Logistics and Distribution?
  8. Market Access and Distribution: a. Strong Distribution Network b. Exclusive Retail Channels c. Strategic Location and Presence in Key Markets?
  9. Brand and Reputation: a. Strong Brand Equity b. Positive Reputation and Trust c. Brand Loyalty and Recognition?
  10. Regulatory and Legal Environment: a. Favorable Government Regulations b. Compliance with Industry Standards c. Intellectual Property Protection?
  11. Financial Resources and Access to Capital: a. Strong Financial Position b. Access to Funding and Capital Markets c. Efficient Capital Allocation and Financial Management?
  12. Operational Efficiency: a. Lean Operations and Process Optimization b. Efficient Supply Chain and Inventory Management c. Quality Control and Error Reduction?
  13. Customer Relationships: a. Customer Loyalty Programs b. Customer Feedback and Relationship Management c. After-Sales Service and Support?
  14. Geographical Location: a. Proximity to Key Markets or Resources b. Strategic Location for Distribution and Logistics?
  15. Scale and Scope of Operations: a. Large-Scale Production and Operations b. Diversified Product or Service Portfolio?
  16. Environmental and Sustainable Practices: a. Sustainable Sourcing and Practices b. Environmental Responsibility and Compliance?
  17. Cultural and Ethical Values: a. Positive Organizational Culture b. Ethical Business Practices and Corporate Social Responsibility?
  18. Government Relationships and Influence: a. Favorable Government Policies and Support b. Political Influence and Advocacy?

While making this article, I keep musing on the effect of chatGPT and generative tools. Information, baseline knowledge, and also interpretation starts to be simply "promptable". It is amazing to see our profession transform on a monthly basis now. (Note to self: write about that future too)


